• Brief:
Next, say how many lines of the listing further below hold the word "NCO", as a bare number.

• Material:
'''
Entry 1:
13
Properties=species:S:1:pos:R:3 method="wB97M-V/def2-TZVPD" homo_energy_ev=-9.0860 homo_lumo_gap_ha=0.3414 lumo_energy_ev=0.2 largest_force_ev_per_a=0.56
H -2.699 -0.014 0.842
C -0.671 0.667 -1.558
C 1.220 -2.370 0.896
C 1.672 -1.389 0.363
H 1.676 2.481 -0.969
N 0.336 1.221 -1.135
N 1.548 1.463 -0.950
H -1.562 1.374 0.821
H 0.834 -3.252 1.360
O -1.763 0.284 -0.938
H 2.060 -0.499 -0.104
C -1.726 0.340 0.500
H -0.925 -0.307 0.872

---

Entry 2:
11
Properties=species:S:1:pos:R:3 method="wB97M-V/def2-TZVPD" smiles="CC(=O)C(=O)C=O" homo_energy_ev=-9.8276 homo_lumo_gap_ha=0.3285 lumo_energy_ev=-0.9 largest_force_ev_per_a=0.59
O 2.111 0.697 -0.833
C 0.622 -0.310 0.724
H -1.979 0.571 0.590
C -1.635 0.300 -0.413
O -0.240 -1.561 -1.051
H -2.433 -0.184 -0.980
C 1.995 0.134 0.226
O 0.405 -0.431 1.906
H -1.338 1.223 -0.928
H 2.831 -0.028 0.932
C -0.437 -0.599 -0.346

---

Entry 3:
15
Properties=species:S:1:pos:R:3 method="wB97M-V/def2-TZVPD" homo_energy_ev="-7.5345 / -7.1707" homo_lumo_gap_ha="0.3013 / 0.2639" lumo_energy_ev="0.7 / 0.0" largest_force_ev_per_a=2.55
H 1.244 -1.381 -2.012
O 0.516 2.067 0.709
Se 2.023 -0.794 0.166
H 0.747 2.053 1.663
C 0.943 -1.690 -1.059
C -0.809 0.690 -0.821
O -1.979 0.061 -0.810
H -1.196 1.150 1.056
H -2.320 -0.248 -1.613
H -0.171 -1.117 1.156
C 0.499 -0.205 1.181
H 0.198 -2.303 -0.615
C -0.250 0.937 0.517
H 0.750 0.065 2.201
H -0.197 0.715 -1.719

---

Entry 4:
17
Properties=species:S:1:pos:R:3 method="wB97M-V/def2-TZVPD" smiles=CCO.NCO homo_energy_ev=-10.1114 homo_lumo_gap_ha=0.4062 lumo_energy_ev=0.9 largest_force_ev_per_a=1.32
N -3.748 -2.289 0.389
H -3.837 -0.496 -0.605
C 4.326 0.504 -0.741
H 4.880 -0.414 -0.552
H -4.291 -2.792 1.083
H 4.823 0.976 1.327
H 3.462 1.836 0.784
O 5.248 2.612 0.178
C 4.428 1.469 0.432
H -6.220 -0.388 -0.242
H 4.686 0.943 -1.670
C -4.403 -1.022 0.180
H 5.280 2.767 -0.779
H 3.277 0.237 -0.893
H -4.305 -0.430 1.087
H -3.844 -2.822 -0.472
O -5.734 -1.226 -0.277

---

Entry 5:
216
Properties=species:S:1:pos:R:3 method="wB97M-V/def2-TZVPD" homo_energy_ev="0.8190 / -6.6237" charge=-1 homo_lumo_gap_ha="0.0408 / 0.3135" lumo_energy_ev="1.9 / 1.9" multiplicity=2 largest_force_ev_per_a=3.54
C 18.409 -17.914 14.298
O 22.856 -16.830 14.755
H 12.881 -15.764 22.519
N 17.848 -9.499 23.748
H 17.332 -5.403 18.271
H 20.829 -9.863 11.378
H 13.085 -14.226 24.120
H 19.705 -3.856 14.301
C 13.679 -11.331 12.197
C 26.761 -19.636 15.491
H 20.028 -11.086 9.773
C 14.575 -14.196 10.006
N 15.132 -5.144 14.433
H 18.273 -14.655 13.366
C 17.273 -1.743 15.153
C 18.391 -8.356 24.523
H 13.828 -16.514 18.774
H 18.415 -12.175 8.822
H 12.653 -7.994 21.630
H 18.925 -4.897 18.654
H 16.450 -1.725 15.868
O 17.919 -10.724 10.061
C 18.909 -6.973 27.850
H 26.954 -21.052 12.993
H 19.430 -9.352 13.822
H 19.652 -5.573 14.184
H 15.418 -4.902 15.371
C 11.318 -10.212 21.570
H 28.635 -20.938 13.487
C 19.013 -13.855 13.380
O 16.072 -13.594 24.064
H 17.945 -4.144 16.532
H 20.589 -11.484 12.068
H 14.685 -6.846 13.230
H 17.312 -9.970 17.292
O 13.940 -5.231 25.819
C 17.023 -9.632 13.200
H 21.004 -16.856 15.732
H 15.814 -12.158 22.567
O 14.521 -17.001 18.322
H 18.812 -7.769 28.588
H 25.282 -21.054 14.508
O 17.206 -2.912 14.417
H 19.373 -9.773 20.639
H 20.333 -12.085 20.457
N 14.426 -7.579 23.979
H 18.119 -12.905 18.738
C 18.046 -9.332 17.783
H 17.922 -12.058 15.116
H 15.009 -10.016 14.137
C 26.113 -21.043 15.214
H 13.879 -4.676 27.889
H 17.584 -7.694 16.539
C 15.166 -14.680 23.646
N 18.698 -6.959 18.175
H 19.028 -9.596 26.199
H 16.038 -2.416 12.750
O 19.862 -4.779 16.105
H 19.782 -14.151 12.667
H 13.693 -11.668 10.061
O 11.606 -13.902 19.394
C 18.101 -9.232 22.334
O 19.480 -11.083 22.153
H 20.233 -9.081 21.948
H 15.997 -13.475 20.070
H 19.093 -19.594 14.961
O 19.355 -9.572 17.234
H 10.726 -10.550 22.420
C 21.674 -16.160 15.228
C 15.714 -17.044 19.147
H 15.055 -8.432 22.079
H 15.098 -13.648 18.534
C 13.592 -12.261 10.970
H 18.336 -10.345 24.007
H 14.385 -8.511 18.553
H 14.599 -9.514 23.280
H 15.019 -15.404 24.447
'''

• Response:
1